To do
Next, work out how many lines underneath have the word "database" in them; a number is enough.
File
____________
Entry 1:
First-principles (PBE-GGA) data for an optimized crystal structure of CsNbSe3, as listed in the Alexandria database.

Properties
ΔE to the lowest computed polymorph: 3.27 eV/f.u.
Raw formation energy: -0.334 eV per atom

Cell and atoms, written as POSCAR:
```
CsNbSe3
1.0
2.5319 -10.9568 0.0000
2.5319 10.9568 0.0000
0.0000 0.0000 5.6758
Cs Nb Se
2 2 6
direct
0.1992 0.8008 0.7500
0.8008 0.1992 0.2500
0.4671 0.5329 0.7500
0.5329 0.4671 0.2500
0.0000 0.0000 0.0000
0.0000 0.0000 0.5000
0.1108 0.3802 0.7500
0.3802 0.1108 0.2500
0.6198 0.8892 0.7500
0.8892 0.6198 0.2500
```

---

Entry 2:
First-principles (PBE-GGA) data for an optimized crystal structure of Cs2NbSe2, as listed in the Alexandria database.

Properties
Raw formation energy: 0.682 eV per atom

Cell and atoms, written as POSCAR:
```
Cs2NbSe2
1.0
-3.1775 3.1775 5.2519
3.1775 -3.1775 5.2519
3.1775 3.1775 -5.2519
Cs Nb Se
2 1 2
direct
0.1578 0.1578 0.0000
0.8422 0.8422 0.0000
0.5000 0.5000 0.0000
0.2500 0.7500 0.5000
0.7500 0.2500 0.5000
```

---

Entry 3:
First-principles (PBE-GGA) data for an optimized crystal structure of CsNbSe3, as listed in the Alexandria database.

Properties
ΔE to the lowest computed polymorph: 0.77 eV/f.u.
Raw formation energy: -0.833 eV per atom

Cell and atoms, written as POSCAR:
```
CsNbSe3
1.0
4.2105 0.0000 0.0000
0.0000 10.8293 0.0000
-2.0233 0.0000 8.5997
Cs Nb Se
2 2 6
direct
0.2473 0.2500 0.4192
0.7527 0.7500 0.5808
0.0404 0.7500 0.1329
0.9596 0.2500 0.8671
0.1185 0.5764 0.2966
0.1185 0.9236 0.2966
0.4616 0.7500 0.9698
0.5384 0.2500 0.0302
0.8815 0.0764 0.7034
0.8815 0.4236 0.7034
```

---

Entry 4:
First-principles (PBE-GGA) data for an optimized crystal structure of Cs2NbSe3, as listed in the Alexandria database.

Properties
Raw formation energy: -1.023 eV per atom

Cell and atoms, written as POSCAR:
```
Cs2NbSe3
1.0
3.8387 -7.4964 0.0000
3.8387 7.4964 0.0000
-0.0829 0.0000 17.3482
Cs Nb Se
8 4 12
direct
0.0563 0.4284 0.3527
0.1441 0.3538 0.9247
0.3538 0.1441 0.4247
0.4284 0.0563 0.8527
0.5716 0.9437 0.1473
0.6462 0.8559 0.5753
0.8559 0.6462 0.0753
0.9437 0.5716 0.6473
0.2504 0.2537 0.1665
0.2537 0.2504 0.6665
0.7462 0.7496 0.3335
0.7496 0.7462 0.8335
0.0302 0.9698 0.2500
0.1027 0.4187 0.1338
0.1526 0.3388 0.5522
0.3388 0.1526 0.0522
0.4187 0.1027 0.6338
0.4574 0.5426 0.7500
0.5426 0.4574 0.2500
0.5813 0.8973 0.3662
0.6612 0.8474 0.9478
0.8474 0.6612 0.4478
0.8973 0.5813 0.8662
0.9698 0.0302 0.7500
```

---

Entry 5:
First-principles (PBE-GGA) data for an optimized crystal structure of CsNbSe3, as listed in the Alexandria database.

Properties
ΔE to the lowest computed polymorph: 0.81 eV/f.u.
Raw formation energy: -0.825 eV per atom

Cell and atoms, written as POSCAR:
```
CsNbSe3
1.0
5.0356 0.0000 0.0000
0.0000 5.0356 0.0000
0.0000 0.0000 6.1795
Cs Nb Se
1 1 3
direct
0.0000 0.0000 0.0000
0.5000 0.5000 0.4310
0.0000 0.5000 0.5268
0.5000 0.0000 0.5268
0.5000 0.5000 0.0518
```

---

Entry 6:
First-principles (PBE-GGA) data for an optimized crystal structure of CsNbSe3, as listed in the Alexandria database.

Properties
ΔE to the lowest computed polymorph: 0.86 eV/f.u.
Raw formation energy: -0.816 eV per atom

Cell and atoms, written as POSCAR:
```
CsNbSe3
1.0
3.6663 -8.0922 0.0000
3.6663 8.0922 0.0000
0.0000 0.0000 7.7550
Cs Nb Se
2 2 6
direct
0.1315 0.8685 0.7500
0.8685 0.1315 0.2500
0.4064 0.5936 0.7500
0.5936 0.4064 0.2500
0.0605 0.4159 0.7500
0.4159 0.0605 0.2500
0.5000 0.5000 0.0000
0.5000 0.5000 0.5000
0.5841 0.9395 0.7500
0.9395 0.5841 0.2500
```

---

Entry 7:
First-principles (PBE-GGA) data for an optimized crystal structure of CsNbSe3, as listed in the Alexandria database.

Properties
ΔE to the lowest computed polymorph: 0.01 eV/f.u.
Raw formation energy: -0.986 eV per atom

Cell and atoms, written as POSCAR:
```
CsNbSe3
1.0
6.7103 -3.8926 0.0000
6.7103 3.8926 0.0000
-0.0060 0.0000 6.2040
Cs Nb Se
2 2 6
direct
0.0000 0.0000 0.0000
0.6846 0.6846 0.4994
0.3134 0.3134 0.7756
0.3712 0.3712 0.2757
0.0242 0.4914 0.0079
____________
Reply
7